Exercise.
Next, give back every line below that contains the word "with".

Contents.
********
Record 1
AlGaCo2 | PBE | relaxed

Structure (POSCAR):
```
AlGaCo2
1.0
2.8769 0.0000 0.0000
0.0000 2.8769 0.0000
0.0000 0.0000 5.7151
Al Ga Co
1 1 2
Direct
0.0000 0.0000 0.0000
0.0000 0.0000 0.5000
0.5000 0.5000 0.2491
0.5000 0.5000 0.7509
```

The value obtained for the formation enthalpy at 0 K is -1.8 eV/f.u.



Record 2
Sr5Ir3O11 | PBE | relaxed

Structure (POSCAR):
```
Sr5Ir3O11
1.0
2.7675 -2.8581 0.0000
2.7675 2.8581 0.0000
-0.0905 0.0000 16.7556
Sr Ir O
5 3 11
Direct
0.0000 0.0000 0.0000
0.4705 0.4705 0.6195
0.4839 0.4839 0.3895
0.5026 0.5026 0.1596
0.9929 0.9929 0.7789
0.4880 0.4880 0.8894
0.9808 0.9808 0.5122
0.9888 0.9888 0.2667
0.0476 0.4947 0.2690
0.4748 0.9212 0.5098
0.4837 0.4837 0.7653
0.4885 0.4885 0.0136
0.4947 0.0476 0.2690
0.5332 0.9923 0.8894
0.9212 0.4748 0.5098
0.9828 0.9828 0.6331
0.9847 0.9847 0.3895
0.9881 0.9881 0.1458
0.9923 0.5332 0.8894
```

The value obtained for the formation enthalpy at 0 K is -42.2 eV/f.u.



Record 3
MoS2 | PBE | relaxed

Structure (POSCAR):
```
MoS2
1.0
3.1903 0.0000 0.0000
-1.5952 2.7629 0.0000
0.0000 0.0000 39.7580
Mo S
4 8
Direct
0.3333 0.6667 0.0936
0.3333 0.6667 0.7193
0.6667 0.3333 0.2807
0.6667 0.3333 0.9064
0.3333 0.6667 0.2413
0.3333 0.6667 0.3200
0.3333 0.6667 0.8671
0.3333 0.6667 0.9458
0.6667 0.3333 0.0542
0.6667 0.3333 0.1329
0.6667 0.3333 0.6800
0.6667 0.3333 0.7587
```

The value obtained for the formation enthalpy at 0 K is -3.6 eV/f.u.



Record 4
Na3SrB5O10 | PBE | relaxed

Structure (POSCAR):
```
Na3SrB5O10
1.0
7.3458 0.0000 0.0000
3.6095 6.7963 0.0000
3.2047 -0.0679 9.2912
Na Sr B O
6 2 10 20
Direct
0.1564 0.4987 0.3349
0.2077 0.2809 0.9522
0.2790 0.0138 0.6150
0.7210 0.9862 0.3850
0.7923 0.7191 0.0478
0.8436 0.5013 0.6651
0.2160 0.9476 0.2764
0.7840 0.0524 0.7236
0.1373 0.6778 0.5828
0.1617 0.7500 0.0477
0.2981 0.6269 0.7901
0.3819 0.3396 0.6377
0.4879 0.7733 0.8779
0.5121 0.2267 0.1221
0.6181 0.6604 0.3623
0.7019 0.3731 0.2099
0.8383 0.2500 0.9523
0.8627 0.3222 0.4172
0.0156 0.7955 0.4997
0.0274 0.7772 0.1816
0.1556 0.6530 0.9405
0.1654 0.7507 0.6926
0.2316 0.4713 0.5650
0.3204 0.8203 0.0114
0.3420 0.1931 0.1444
0.4004 0.4151 0.7516
0.4669 0.6867 0.7724
0.5004 0.1497 0.6038
0.4996 0.8503 0.3962
0.5331 0.3133 0.2276
0.5996 0.5849 0.2484
0.6580 0.8069 0.8556
0.6796 0.1797 0.9886
0.7684 0.5287 0.4350
0.8346 0.2493 0.3074
0.8444 0.3470 0.0595
0.9726 0.2228 0.8184
0.9844 0.2045 0.5003
```

The value obtained for the formation enthalpy at 0 K is -53.4 eV/f.u.



Record 5
Ag3Ge | PBE | relaxed

Structure (POSCAR):
```
Ag3Ge
1.0
4.1628 0.0000 0.0000
0.0000 4.1628 0.0000
0.0000 0.0000 4.1628
Ag Ge
3 1
Direct
0.0000 0.0000 0.5000
0.0000 0.5000 0.0000
0.5000 0.0000 0.0000
0.5000 0.5000 0.5000
```

The value obtained for the formation enthalpy at 0 K is 0.4 eV/f.u.



Record 6
Rb2MgTi2Zn2O2F10 | PBE | relaxed

Structure (POSCAR):
```
Rb2MgTi2Zn2O2F10
1.0
7.3911 0.0000 0.0000
0.0013 7.6143 0.0000
3.6945 3.7733 5.5384
Rb Mg Ti Zn O F
2 1 2 2 2 10
Direct
0.0000 0.0000 0.0000
0.1594 0.7795 0.4530
0.8159 0.2104 0.6026
0.0404 0.4739 0.0533
0.5264 0.4623 0.0726
0.5302 0.4798 0.5637
0.5342 0.9583 0.5661
0.2489 0.4210 0.1528
0.8281 0.5006 0.9966
0.2123 0.4087 0.8033
0.2147 0.7865 0.8046
0.4604 0.5309 0.3166
0.4618 0.1524 0.3192
0.5062 0.1543 0.6953
0.6020 0.7908 0.4201
0.6224 0.7768 0.8086
0.6261 0.4067 0.8058
0.8668 0.1474 0.3525
0.8695 0.5128 0.3447
```

The value obtained for the energy above the most stable polymorph in this dataset is 0.024 eV/atom. The value obtained for the formation enthalpy at 0 K is -56.2 eV/f.u.



> Among the records above, which one has the highest formation enthalpy at 0 K?

Ag3Ge


A plane-wave DFT calculation with PBE was carried out for Cs2LiInCl6 after structural relaxation.

Values from the calculation:
Corrected total energy (MP2020 scheme) = -3.77 eV/atom
ΔE_f = -2.015 eV per atom
Calculated volume = 1785 Å³/cell

a = 7.4725 Å, b = 7.4725 Å, c = 36.9047 Å
α = 90.00°, β = 90.00°, γ = 120.00°
Space group R-3m (No. 166, hexagonal axes)
********

Here it is.
A plane-wave DFT calculation with PBE was carried out for Cs2LiInCl6 after structural relaxation.